What is an advance payment on a pension for widows/widowers?
The advance payment is paid on the death quarter.
The death quarter is the time period until the end of the third calendar month after the month in which the insured spouse/life partner died.
A pension in the full amount of the insurance pension of the deceased is paid for this period, meaning that the advance payment is three times the amount of the monthly pension paid out for the month of death (without several payment components such as the contribution subsidy amount for voluntary/private health insurance and the child-raising benefit amount).
The own income of the widow/widower is not offset on the death quarter.
What are the requirements for an advance payment on a pension for widows/widowers?
- The application must be submitted to the Renten Service within 30 days of the death of the pension beneficiary.
- If the application is submitted late, processing by the Renten Service cannot be guaranteed. Later submission of the application, together with the application for a widow/widower’s pension, is possible when submitted to the pension insurance provider.
- An original copy of the death certificate in which the widow or widower is listed as the spouse/life partner of the deceased must be enclosed.
- The widow/widower or life partner must have their domicile or habitual residence in Germany.
- The pension for the deceased pension beneficiary must have been paid on a monthly basis via the Renten Service.
- The deceased’s pension payment cannot be paid to a welfare recipient or similar.
- The marriage or civil partnership must have been in effect for at least one year at the time of death.
In some cases, the relevant pension insurance provider must first decide whether or not to make advance payment on the widow/widower’s pension (e.g., in cases of pension splitting between spouses and similar).
• Misplaced data records:
<<<
No. 1
Entry from Alexandria: Hf2Al3 at its PBEsol-relaxed geometry (SCAN).

Cell: 9.4644 13.6673 5.4790 Å, 90.00 90.00 90.00°
Closest atoms and distances in Å follow each position.
Space group Fdd2 (No. 43)
Inequivalent atoms, fractional coordinates:
Hf (0.0643, 0.1971, 0.0000) [16 per cell]  9 Al 2.81-3.13
Al (0.0000, 0.0000, 0.1278) [8 per cell]  4 Al 2.65-2.68, 4 Hf 2.81-2.85
Al (0.0669, 0.1135, 0.5098) [16 per cell]  4 Al 2.65-2.75, 5 Hf 2.85-2.92

Its density of states at the Fermi level is 0.515 states/eV/atom. For the calculated formation energy, the calculation gives -444 meV/atom.

No. 2
Entry from Alexandria: Hf3Al2 at its PBEsol-relaxed geometry (SCAN).

Cell: 7.4798 7.4798 6.8427 Å, 90.00 90.00 90.00°
Closest atoms and distances in Å follow each position.
Space group P4_2/mnm (No. 136)
Inequivalent atoms, fractional coordinates:
Hf (0.0000, 0.5000, 0.2500) [4 per cell]  4 Al 2.99, 8 Hf 3.19-3.31
Hf (0.1526, 0.1526, 0.0000) [4 per cell]  6 Al 2.78-2.88
Hf (0.2051, 0.2051, 0.5000) [4 per cell]  6 Al 2.72-2.89
Al (0.1215, 0.8785, 0.2930) [8 per cell]  2 Al 2.57-2.83, 4 Hf 2.72-2.88

Its density of states at the Fermi level is 1.046 states/eV/atom. For the calculated formation energy, the calculation gives -327 meV/atom.

No. 3
Entry from Alexandria: HfAl at its PBEsol-relaxed geometry (SCAN).

Cell: 3.2014 10.8016 4.2699 Å, 90.00 90.00 90.00°
Closest atoms and distances in Å follow each position.
Space group Cmcm (No. 63)
Inequivalent atoms, fractional coordinates:
Hf (0.0000, 0.1641, 0.2500) [4 per cell]  7 Al 2.85-2.99
Al (0.0000, 0.4299, 0.2500) [4 per cell]  2 Al 2.62, 5 Hf 2.85-2.87

Its density of states at the Fermi level is 0.508 states/eV/atom. For the calculated formation energy, the calculation gives -419 meV/atom.

=====

Arrangement one

# PBE CsCd2In3, relaxed
data_CsCd2In3
_chemical_formula_sum 'Cs4 Cd8 In12'
_cell_length_a 19.078
_cell_length_b 5.259
_cell_length_c 8.300
_cell_angle_alpha 90.00
_cell_angle_beta 112.52
_cell_angle_gamma 90.00
_space_group_name_H-M_alt 'C 1 2/m 1'
_space_group_IT_number 12
loop_
_space_group_symop_operation_xyz
'x,y,z'
'-x,-y,-z'
'-x,y,-z'
'x,-y,z'
'x+1/2,y+1/2,z'
'-x+1/2,-y+1/2,-z'
'-x+1/2,y+1/2,-z'
'x+1/2,-y+1/2,z'
loop_
_atom_site_label
_atom_site_type_symbol
_atom_site_fract_x
_atom_site_fract_y
_atom_site_fract_z
Cs1 Cs 0.107 0.000 0.151
Cd1 Cd 0.008 0.500 0.701
Cd2 Cd 0.238 0.000 0.703
In1 In 0.077 0.000 0.651
In2 In 0.162 0.500 0.508
In3 In 0.185 0.500 0.899
# * total moment: 0.0 μB per cell
# * density of states at the Fermi level: 2.4 states/eV/f.u.
# * calculated volume: 32.1 Å³/atom
# * ρ: 6063 kg/m³

Arrangement two

# PBE CsCd2In3, relaxed
data_CsCd2In3
_chemical_formula_sum 'Cs1 Cd2 In3'
_cell_length_a 6.5982
_cell_length_b 6.5982
_cell_length_c 4.9656
_cell_angle_alpha 90.00
_cell_angle_beta 90.00
_cell_angle_gamma 120.00
_space_group_name_H-M_alt 'P 6/m m m'
_space_group_IT_number 191
_space_group_name_Hall '-P 6 2'
>>>
How do I apply for an advance payment on a pension for widows/widowers?
You can apply for advance payment using our change form. Please complete the form and send a signed printout of it together with the original copy of death certificate to:
Deutsche Post AG
Pension Service Branch
13497 Berlin, Germany
Your funeral home can also help you apply for the advance payment.
Will I have to pay the advance payment back?
The advance payment is a part of the widow’s/widower’s pension.
If the advance payment results in overpayment, the amount overpaid will be withheld by the pension insurance provider from the future widow’s/widower’s pension.
Where can I get answers to additional questions on advance payment on the widow’s/widower’s pension?
Please contact the pension insurance provider responsible for you with your questions. They will be able to help.
The address of the pension insurance provider can be found in the adjustment notification of the deceased pension beneficiary or online at: www.deutsche-rentenversicherung.de.